Frequently Asked Questions

As our colleagues at Church Clarity have reminded us all, Clarity is more than reasonable–it’s essential. At Q Christian Fellowship, we practice our mission and vision in the following ways:

Does God affirm LGBTQ+ identities and gender-expansive identities?


Does God affirm same-gender sexual relationships?


Who are members of the Q Christian Community?

We are a diverse community with varied backgrounds, cultures, theologies and denominations, drawn together through our love of Christ and our belief that every person is a beloved child of God.  More specifically, we include LGBTQ+ Christians and allies. We aim to foster community and to provide support to the LGBTQ+ community, their parents and families, clergy and other allies.


How do we cultivate radical welcome to all people?

While we know that we have much more work to do, we aim to protect difference and cultivate radical belonging for our entire community.  We seek to pursue truly equitable and anti-racist outcomes. We aim to decenter the experiences and journeys of cis gender, straight and white community members with the intent of making space for the most marginalized within our community such as trans people and people of color, while providing support for all members to grow and thrive.

Who are members of our “Side A” community?

LGBTQ+ Christians who fully affirm both LGBTQ+ identity and same-gender sex for various personal and/or theological reasons.  This includes those who have a broad range of sexual ethics.

Who are members of our “Side B” community?

LGBTQ+ Christians who affirm LGBTQ+ identity and also believe that same-gender sex is inconsistent with their own personal theology. This includes single celibate LGBTQ+ Christians as well as those in celibate partnerships and mixed-orientation marriages.


Why use language like “Side A” and “Side B”?

We aim to move our fellowship beyond a debate between sides, yet we recognize that our community has adopted this terminology for a reason; it allows for clarity in sharing about the intersection between one’s theology and identity. Until new terminology is formed more organically, we will continue to use this language.

Why does Q Christian include Side B Christians?

Q Christian is a fully affirming organization. We are committed to encountering each person wherever they currently are in their journey and cultivating a safe place for them to do their own  work to integrate their faith, their sexuality (or asexuality), and their gender identity and expression. We believe that a personal call to celibacy, as Jesus affirms in Matthew 19:12, is to be honored. We practice mutuality with celibacy-affirming Christians, like those who attend Revoice Conference, because we respect individual convictions and prioritize a radical welcome in the midst of disagreement. We also honor and journey with those in celibate partnerships and mixed orientation marriages by respecting and supporting their commitments. Together, as a community, we can model the fullness of God’s love by growing toward healthy community and seeking justice always. Q Christian celebrates the presence of Side B people within our community, and, consistent with our calling since 2001, we remain committed to building a community where all can fully belong. Q Christian’s values affirm the radical diversity of the Kin-dom of God where we fully expect to encounter the Spirit of Christ in one another.

What is “Side X” or “Ex-Gay” theology?

This is dangerous and disproven theology that alleges that LGBTQ+ identity can and/or should be changed by God. Q Christian counters this theology in the UNCHANGED Movement.


What is our hope for parents and their LGBTQ+ children?

Parents should unequivocally affirm their LGBTQ+ children’s identity and respect that their children should discern for themselves their own theology and sexual ethic. It is statistically and empirically conclusive that a non-affirming dynamic is damaging to a child, no matter their age. In particular, LGBTQ+ youth are “experiencing heartbreaking levels of stress, anxiety and rejection, but also overwhelmingly feel unsafe in their own school classrooms. LGBTQ+ young people who participated in the survey also made crystal clear that supportive families and inclusive schools are key to their success and well-being.” Q Christian has accompanied thousands of parents through the years and recognizes and respects the journey many parents take. Our top priority is the affirmation and health of the LGBTQ+ child. We also seek to equip parents to relate to their LGBTQ+ child in healthy and respectful ways. We respect the autonomy of adult LGBTQ+ people to choose the degree to which they engage with their non-affirming parents. We offer a variety of resources for families, including our annual Parent Summit. In all our engagement with parents, we stress these essential data points courtesy of The Trevor Project:

  1. LGB youth seriously contemplate suicide at almost three times the rate of heterosexual youth.

  2. LGB youth are almost five times as likely to have attempted suicide compared to heterosexual youth.

  3. LGB youth who come from highly rejecting families are 8.4 times as likely to have attempted suicide as LGB peers who reported no or low levels of family rejection

  4. In a national study, 40% of transgender adults reported having made a suicide attempt. 92% of these individuals reported having attempted suicide before the age of 25.

We also have a brand new Relational Guide for Parents of LGBTQ+ People written by “Blue Babies Pink” creator B.T. Harman–it’s completely free!


Is imposing a mandate of celibacy or change on others harmful?

Between two parts of the text: data records:
Run A
Entry from the OMol25 dataset: CHN3O in the gas phase (the ωB97M-V functional and the def2-TZVPD basis).

Structure (XYZ):
```
6
Properties=species:S:1:pos:R:3
N -0.1787 -1.1701 -0.7212
C -0.4900 -0.2837 0.0566
N -0.5118 0.7488 0.7514
N 0.7642 1.4143 0.4609
O 1.4851 0.8965 -0.3251
H -1.0688 -1.6058 -0.2226
```

The value obtained for the HOMO-LUMO gap is 10.14 eV. The HOMO energy comes out at -10.55 eV. The molar mass is 71.04 g mol⁻¹. As for the SMILES: N=C=NN=O. The calculation puts the LUMO energy at -0.4 eV.

Which charges does natural (NBO) predict for the atoms? In e, they are: -0.566 0.618 -0.497 0.311 -0.281 0.414

---

Run B
Entry from the OMol25 dataset: CHN3O in the gas phase (the ωB97M-V functional and the def2-TZVPD basis).

Structure (XYZ):
```
6
Properties=species:S:1:pos:R:3
O -0.1533 0.4536 0.1794
N -1.0554 -0.6041 0.1591
C -2.4324 -0.0630 0.1091
N -3.7549 -0.4621 0.0804
N -3.5237 0.7698 0.0585
H 0.7197 0.0353 0.1624
```

The value obtained for the HOMO-LUMO gap is 8.39 eV. The HOMO energy comes out at -9.18 eV. The molar mass is 71.04 g mol⁻¹. As for the SMILES: ON=c1nn1. The calculation puts the LUMO energy at -0.8 eV.

Which charges does natural (NBO) predict for the atoms? In e, they are: -0.568 -0.179 0.335 -0.021 -0.045 0.478

---

Stability check: which of them is most stable? run A.

=====

Entry 1
Below is 2 unconnected molecules or ions with the total composition C7H15NO, with properties calculated with ωB97M-V with the def2-TZVPD basis set.

As for the structure (SMILES): C=C(C)C(C)(C)N.C=O. As for the multiplicity: 1. The total charge is 0.

Bonds (Å) are listed after each position.
Geometry (Å):
1 C 0.068 -0.457 0.543  C2 1.543, C4 1.365, C5 1.511
2 C 0.648 0.518 -0.503  C1 1.543, C6 1.535, C7 1.533, N8 1.471
3 C -2.310 -0.388 0.656  O9 1.245, H12 1.100, H13 1.106
4 C -0.243 -0.070 1.814  C1 1.365, H14 1.078, H15 1.078
5 C 0.353 -1.923 0.311  C1 1.511, H16 1.090, H17 1.093, H18 1.091
6 C -0.008 0.291 -1.872  C2 1.535, H19 1.089, H21 1.090, H22 1.090
7 C 0.464 1.988 -0.106  C2 1.533, H20 1.089, H23 1.087, H24 1.087
8 N 2.095 0.325 -0.684  C2 1.471, H10 1.013, H11 1.014
9 O -2.578 -1.092 1.648  C3 1.245
10 H 2.296 -0.585 -1.081  N8 1.013
11 H 2.577 0.389 0.206  N8 1.014
12 H -2.398 0.708 0.689  C3 1.100
13 H -2.346 -0.774 -0.379  C3 1.106
14 H -0.321 -0.779 2.621  C4 1.078
15 H -0.370 0.965 2.087  C4 1.078
16 H -0.121 -2.529 1.083  C5 1.090
17 H 1.422 -2.144 0.336  C5 1.093
18 H -0.040 -2.252 -0.652  C5 1.091
19 H 0.106 -0.740 -2.203  C6 1.089
20 H 1.009 2.218 0.808  C7 1.089
21 H 0.473 0.933 -2.610  C6 1.090
22 H -1.068 0.542 -1.847  C6 1.090
23 H -0.585 2.240 0.030  C7 1.087
24 H 0.875 2.614 -0.894  C7 1.087

Mulliken atomic charge list, values in e, 5 entries:
1 C 0.21
2 C 2.14
3 C 0.00
4 C -1.01
5 C -1.57

=====

Entry 2
Below is a single C7H15NO molecule, with properties calculated with ωB97M-V with the def2-TZVPD basis set.

Yes. Any mandated ethic of celibacy or change by a family member or institution is ultimately harmful for LGBTQ+ people. (For relevant research on the mental health and experiences of LGBTQ+ youth, check out The Trevor Project.) Q Christian honors the personal convictions of those who feel called to celibacy yet recognizes that this is a deeply personal decision and should not be mandated by another person or institution. Though sexuality can be fluid, we do not believe it is healthy or effective to try to change or manipulate one’s sexual identity or sexual attractions.

Is lifelong celibacy itself harmful?

Some LGBTQ+ people tell us that embracing the sexual ethic of lifelong celibacy is life-giving for them; other LGBTQ+ people say they have been deeply harmed by celibacy-affirming theology. Discerning a call to celibacy should lead to more health and wholeness. As with any ethic, circumstances, life stages, and personal factors like mental health should be part of the discernment process. We believe that obeying God will result in people becoming more healthy and whole. We reject any mandatory imposition of celibacy, which can be driven by shame and/or can lead to mental health issues, particularly among young people who are still in the process of forming their own ethics. Many LGBTQ+ people who connect with Q Christian were raised in church contexts that taught that celibacy was the only faithful way for LGBTQ+ people to live. When celibacy is externally imposed, rather than personally discerned, LGBTQ+ people often struggle deeply and may experience depression, anxiety, self-hatred, self-harm, and/or suicidal ideation. Celibacy may be freely chosen for many reasons, including by members of our community who identify along the spectrum of asexuality.  Q Christian cultivates a safe space where people can question and assess how God is calling them to live in the confidence that God’s plans for us are good and will lead to our flourishing.


What relationships are recognized by Q Christian?

We recognize a broad range of relationships to the extent that they align with our centered set of values on sexual ethics.

What is our hope with respect to dialoguing across a broad spectrum of identities and sexual ethics?

At Q Christian, we model having nuanced dialogue on sexual ethics with a recognition of the differences and diversity within our community. Our focus is the unequivocal affirmation of the personhood, identities, and relational commitments of LGBTQ+ people. We encourage people in the Q Christian community to clarify their core values and beliefs concerning sexual ethics recognizing that flourishing is best experienced when we live in alignment with our convictions. Q Christian centers Fellowship–your presence and participation in our work is what empowers all of us to realize this shared vision of just relationships, an inclusive Church, and an equitable world for LGBTQ+ Christians. We encourage you to check out our Affirmation Guide for Sexuality and Spirituality!

Are you trying to be too much to too many?

No. We aim to honor our mission, which is to cultivate radical welcome and to embrace disagreement and to value difference. There are already many spaces for those who want to gather with those who are like-minded. Our aim at Q Christian is to celebrate difference and understand the full diversity of the kingdom/kin-dom of believers without actually promoting a specific sexual ethic or interpretation of Scripture. There are those in our community who have adopted the various sexual ethics described in our Affirmation Guide on Sexuality and Spirituality, and we think it is important to bring everyone out from the shadows and into the light. It does not mean that we have adopted or agree with or promote any or all views. We all have our own individual views and yet, we think it is important for us to understand what views others hold to learn more about ourselves, about God, and about one another, each of us members of the body of Christ.


Why does Q Christian, at times, feature people who are active politically?

Q Christian is a religious non-profit and does not advocate for specific political parties or candidates. Yet, we live in a time when our very LGBTQ+ identities have been politicized and legislated in dangerous and divisive ways. We believe that seeking justice and loving mercy calls for us to lend our voice for justice in active ways. When LGBTQ+ Christians live this out in ways that we can learn from, we believe it is important to feature these voices. We also believe that representation of people of color and other marginalized groups, while it is not everything, matters.

How can I ask questions or express concerns about the organization or its work?

Any concerns regarding the annual conference, website, content and online resources, newsletter emails, social media posts, blogs, event site selection or other operational aspects of the organization should be directed to Staff by emailing (for questions or administrative issues) or (for suggestions or concerns). Concern about the adopted mission, vision, values or budget of the organization should be directed to the board at  Information about our whistle blower policy is available on our website at